19th October 2016
Minutes of the meeting of Pershore Community Youth Council, held at the Town Hall, 34 High Street, Pershore, Commencing at 2.00pm
Present:- Youth Cllr Jacob Archer
Youth Cllr Logan Blight
**Inserted here: calculated crystals**
No. 1
DFT (PBE) results for CrFeGe2 after structural relaxation.

POSCAR file:
```
CrFeGe2
1.0
0.000 2.951 2.951
2.951 0.000 2.951
2.951 2.951 0.000
Cr Ge Fe
1 2 1
Cartesian
0.000 0.000 0.000
1.476 1.476 1.476
4.427 4.427 4.427
2.951 2.951 2.951
```

Calculated values
ΔH_f (0 K)	0.14	eV per atom
ΔE to the lowest computed polymorph	0.72	eV/f.u.

No. 2
DFT (PBE) results for La2NiSn4 after structural relaxation.

POSCAR file:
```
La2NiSn4
1.0
-3.399 -3.463 -0.854
3.080 -3.445 1.710
-3.138 -2.386 7.946
Ni Sn La
1 4 2
Cartesian
0.000 0.000 0.000
-2.187 -2.727 5.545
-1.270 -6.567 3.256
1.540 -1.722 0.855
-1.700 -1.732 -0.427
-1.023 -3.144 2.607
-2.434 -6.149 6.194
```

Calculated values
ΔH_f (0 K)	-0.43	eV per atom
ΔE to the lowest computed polymorph	1.67	eV/f.u.

No. 3
DFT (PBE) results for CeEr5Bi6 after structural relaxation.

POSCAR file:
```
CeEr5Bi6
1.0
-1.898 4.454 6.056
-7.064 -1.936 2.521
-0.810 -5.473 5.427
Ce Er Bi
1 5 6
Cartesian
0.000 0.000 0.000
-2.654 -1.765 7.086
-2.621 -2.476 2.656
-4.481 1.259 4.289
-5.253 -4.932 5.293
-7.118 -1.189 6.918
-2.289 1.311 6.566
-4.834 -1.836 4.826
-2.275 0.625 2.161
-6.687 1.894 6.416
-4.938 -1.118 9.178
-7.483 -4.265 7.438
```

Calculated values
ΔH_f (0 K)	-0.81	eV per atom

No. 4
DFT (PBE) results for CoAg2TePd after structural relaxation.

POSCAR file:
```
CoAg2TePd
1.0
5.057 0.000 0.000
0.000 5.057 0.000
0.000 0.000 4.620
Te Co Pd Ag
1 1 1 2
Cartesian
2.528 2.528 2.310
0.000 0.000 2.310
0.000 0.000 0.000
0.000 2.528 0.000
2.528 0.000 0.000
```

Calculated values
formation energy from raw total energies	18.7	kcal/mol of atoms

No. 5
DFT (PBE) results for NaPH2Pt after structural relaxation.

POSCAR file:
```
NaPH2Pt
1.0
-0.882 0.474 3.374
6.118 -1.263 1.778
0.786 3.419 -0.275
P H Pt Na
1 2 1 1
Cartesian
3.011 1.316 2.438
0.393 1.710 -0.138
-0.441 0.237 1.687
3.059 -0.631 0.889
0.000 0.000 0.000
```

Calculated values
calculated total energy	-3.0810	eV per atom

No. 6
DFT (PBE) results for Er5Ge5Ir2 after structural relaxation.

POSCAR file:
```
Er5Ge5Ir2
1.0
-0.910 3.534 -2.106
-6.312 2.977 3.507
4.682 5.913 3.684
Er Ge Ir
5 5 2
Cartesian
-0.815 4.445 3.596
-0.638 9.941 4.314
-4.734 6.009 3.700
2.194 6.414 1.386
-1.902 2.482 0.772
-0.457 5.198 0.491
1.038 8.968 1.957
-3.578 3.455 3.129
-2.083 7.225 4.595
0.000 0.000 0.000
0.241 7.228 3.595
-2.781 5.195 1.490
```

Calculated values
ΔH_f (0 K)	-0.80	eV per atom


# 1
VASP calculation (SCAN) on a crystal of SrNd2BeO5 relaxed with PBEsol.

a b c (Å): 6.5082 7.2433 9.4965
angles (deg): 90.00 90.00 90.00
Closest atoms and distances in Å follow each position.
Atoms (fractional coordinates):
Sr 0.5820 0.9805 0.6748  9 O 2.52-2.82, 1 Be 2.73
Sr 0.0820 0.4805 0.8252  9 O 2.52-2.82, 1 Be 2.73
Sr 0.9180 0.9805 0.1748  9 O 2.52-2.82, 1 Be 2.73
Sr 0.4180 0.4805 0.3252  9 O 2.52-2.82, 1 Be 2.73
Be 0.8078 0.7491 0.8980  4 O 1.61-1.69
Be 0.3078 0.2491 0.6020  4 O 1.61-1.69
Be 0.1922 0.2491 0.1020  4 O 1.61-1.69
Be 0.6922 0.7491 0.3980  4 O 1.61-1.69
Youth Cllr Nathan Bull
Youth Cllr Ellie Coleman
Youth Cllr Edmund Daniels
Youth Cllr Kira Gill
Youth Cllr Sam Godber
Youth Cllr Logan Gubbins
Youth Cllr Rebecca Hodgkins
Youth Cllr Bethany Ireland
Youth Cllr Hugh Jeavons
Youth Cllr Skye King
Youth Cllr Hannah Moody
Youth Cllr Archie McIvor
Youth Cllr Jakub Rosynski
Youth Cllr Peter Saunders
Youth Cllr Louis Storr
159. Apologies
Apologies were accepted from Youth Cllrs MacDonald, Cheese, Mustard and Pearson.
/*
Entry from Alexandria via LeMat-Bulk: a relaxed MnSi2Hg crystal (GGA-PBEsol).

It has space group F-43m (No. 216), with a = 6.414 Å, b = 6.414 Å, c = 6.414 Å, α = 90.00°, β = 90.00° and γ = 90.00°. The distinct sites, in fractional coordinates, are Mn at (0.000, 0.000, 0.000), Si at (0.000, 0.000, 0.500), Si at (0.250, 0.250, 0.750) and Hg at (0.250, 0.250, 0.250).

The value obtained for the density of states at the Fermi level is 0.531 states/eV per atom.

---

Entry from Alexandria via LeMat-Bulk: a relaxed Mn2SiHg crystal (GGA-PBEsol).

It has space group Pm (No. 6), with a = 2.769 Å, b = 4.085 Å, c = 5.085 Å, α = 90.00°, β = 93.61° and γ = 90.00°. The distinct sites, in fractional coordinates, are Mn at (0.000, 0.000, 0.000), Mn at (0.125, 0.500, 0.715), Si at (0.591, 0.500, 0.114) and Hg at (0.581, 0.000, 0.487).

The value obtained for the density of states at the Fermi level is 0.640 states/eV per atom. The energy relative to the lowest polymorph listed for this composition comes out at 203.9 meV per atom.

---

Entry from Alexandria via LeMat-Bulk: a relaxed Mn2SiHg crystal (GGA-PBEsol).

It has space group I-4m2 (No. 119), with a = 3.717 Å, b = 3.717 Å, c = 8.426 Å, α = 90.00°, β = 90.00° and γ = 90.00°. The distinct sites, in fractional coordinates, are Mn at (0.000, 0.000, 0.000), Mn at (0.000, 0.500, 0.250), Si at (0.000, 0.000, 0.500) and Hg at (0.000, 0.500, 0.750).

The value obtained for the density of states at the Fermi level is 0.394 states/eV per atom. The energy relative to the lowest polymorph listed for this composition comes out at 243.1 meV per atom.

---

Entry from Alexandria via LeMat-Bulk: a relaxed ZrMnSi2Hg crystal (GGA-PBEsol).

It has space group P4/mmm (No. 123), with a = 5.033 Å, b = 5.033 Å, c = 4.812 Å, α = 90.00°, β = 90.00° and γ = 90.00°. The distinct sites, in fractional coordinates, are Zr at (0.000, 0.000, 0.000), Mn at (0.000, 0.000, 0.500), Si at (0.000, 0.500, 0.000) and Hg at (0.500, 0.500, 0.500).

The value obtained for the density of states at the Fermi level is 0.841 states/eV per atom.

---

Entry from Alexandria via LeMat-Bulk: a relaxed SrMnHg2 crystal (GGA-PBEsol).

It has space group P4mm (No. 99), with a = 3.729 Å, b = 3.729 Å, c = 7.053 Å, α = 90.00°, β = 90.00° and γ = 90.00°. The distinct sites, in fractional coordinates, are Sr at (0.000, 0.000, 0.000), Mn at (0.500, 0.500, 0.666), Hg at (0.000, 0.000, 0.532) and Hg at (0.500, 0.500, 0.273).

The value obtained for the density of states at the Fermi level is 0.761 states/eV per atom.

---

Entry from Alexandria via LeMat-Bulk: a relaxed SrMn2Hg crystal (GGA-PBEsol).

It has space group Pmmm (No. 47), with a = 3.525 Å, b = 3.555 Å, c = 7.128 Å, α = 90.00°, β = 90.00° and γ = 90.00°. The distinct sites, in fractional coordinates, are Sr at (0.000, 0.000, 0.000), Mn at (0.500, 0.500, 0.318) and Hg at (0.000, 0.000, 0.500).

The value obtained for the density of states at the Fermi level is 1.230 states/eV per atom.

---
*/
160. Declarations of Interest
There were none
161. Youth Mayor’s Announcements
Youth Cllr Godber reminded members of the Christmas Light switch on and asked them to check their emails regularly
162. Items brought to members attention by the Town Clerk
There were none
163 Minutes
It was proposed by Youth Cllr Saunders, seconded by Youth Cllr Ireland and RESOLVED that the minutes of the meeting held 28th September 2016 be signed as a true record of the proceedings.
164. Matters of Report from the Minutes
There were none
165. Public Transport in the area
a. Youth Cllr Godber reminded members of the proposed car free day and Youth Cllrs Saunders and Coleman agreed to speak to Mr Corbett about how this could best be arranged.
b. Cllr Palfrey advised members of the recent public meeting concerning public transport which had been very well attended and a number of concerns raised. The lack of a bus service to and from a number of the villages was raised and Cllr Palfrey advised that currently there is no requirement for the bus companies to consult local residents if they wish to change a commercial service. They simply have to give 56 days notice of the proposed change.
Youth Cllrs also expressed their concerns about the lack of evening and weekend buses and additionally the failure of the government to provide funding to enable 16 – 18 years olds, who are now required to remain in education, to gain concessionary bus travel to and from school. The Clerk advised that a pressure group had been formed to lobby parliament on this issue and she would bring information about this to the next meeting.
Additionally members agreed to speak to their tutor groups to ascertain whether there were any particular problem routes for students.
166. Policing in Pershore
The Clerk had invited a representative from the policing team to attend a future meeting of the Council
167. Youth Council Projects
Members considered various suggestions as to future projects for the Council and it was agreed they would discuss these and other options with school students and the item be discussed at the next meeting.
168. Youth Council Charity
Following debate about a number of animal charities it was proposed by Youth Cllr Saunders and seconded by Youth Cllr Jeavons that the Worcestershire Wildlife Trust be chosen. It was then proposed by Youth Cllr Daniels and seconded by Youth Cllr Hodgkins that the Vale Wildlife Hospital be chosen. Upon putting the choice to a vote the Vale Wildlife Hospital was chosen and ideas for fund raising would be considered at the next meeting.
169. Christmas Light Switch on
a. The Clerk distributed letters for members to distribute to local schools so that students could start working on the competition entries over half term. Members were reminded of the closing date for the competition and the need for them to find 3 winners by Friday 18th November so that the Clerk can advise the schools accordingly.
b. Members noted the stalls that had already booked and a further update would be
available at the next meeting.
c. It was agreed Youth Cllrs Blight and Bull accompany the Town Clerk to choose a Christmas tree for the Town Hall walkway. The Clerk will liaise with Mr Corbett.
170. Riverside Youth Centre
Youth Cllrs Saunders and Gill volunteered to be representatives on the Riverside Centre trustees and the Clerk will advise the Chairman accordingly also requesting meeting dates.
The Clerk also agreed to email the latest report from the centre to all members for information.
171. Items for future agenda
There were none
172. Items for Information
Youth Cllr Ireland advised that she had met with Mr Corbett regarding Remembrance Day. Youth Cllr Pearson and Gill had agreed to take part in the 9.30 service in the Abbey on 11th November and Youth Cllrs Godber and Ireland were to read some of the names of the fallen at the Remembrance Day service.
It was noted that the next meeting would be held on Wednesday 2nd November 2016 at the High School.
There being no further business the meeting closed at 15.00pm